### Given
- - -
[1]
{
  "formula": "TeOs",
  "functional": "PBE",
  "state": "optimized geometry",
  "spacegroup": "No. 11",
  "e_form_raw_kj_per_mol_atoms": 40.77,
  "magnetic_moment_mub_per_cell": 0.000,
  "cell": [[3.6957, 0.0000, 0.0000], [0.0000, 2.8878, -0.0162], [0.0000, -0.0325, 8.7400]],
  "species": ["Te", "Te", "Os", "Os"],
  "fractional_positions": [[0.0000, 0.6169, 0.5797], [0.5000, 0.1331, 0.1703], [0.0000, 0.1270, 0.9438], [0.5000, 0.6230, 0.8062]]
}

[2]
{
  "formula": "TeOs",
  "functional": "PBE",
  "state": "optimized geometry",
  "spacegroup": "No. 166",
  "e_form_raw_kj_per_mol_atoms": 82.08,
  "magnetic_moment_mub_per_cell": 0.000,
  "cell": [[4.5008, -0.0101, -0.0064], [3.3415, 3.0153, -0.0064], [3.3415, 1.2805, 2.7299]],
  "species": ["Te", "Os"],
  "fractional_positions": [[0.5000, 0.5000, 0.5000], [0.0000, 0.0000, 0.0000]]
}

[3]
{
  "formula": "TeOs3",
  "functional": "PBE",
  "state": "optimized geometry",
  "spacegroup": "No. 221",
  "e_form_raw_kj_per_mol_atoms": 91.69,
  "magnetic_moment_mub_per_cell": 0.000,
  "cell": [[-3.8132, 0.0493, -1.1641], [-0.4238, -3.7695, 1.2286], [-1.0853, 1.2987, 3.6102]],
  "species": ["Os", "Os", "Os", "Te"],
  "fractional_positions": [[0.5000, 0.5000, 0.0000], [0.5000, 0.0000, 0.5000], [0.0000, 0.5000, 0.5000], [0.0000, 0.0000, 0.0000]]
}

[4]
{
  "formula": "TeOs2",
  "functional": "PBE",
  "state": "optimized geometry",
  "spacegroup": "No. 8",
  "e_form_raw_kj_per_mol_atoms": 42.75,
  "magnetic_moment_mub_per_cell": 0.000,
  "cell": [[1.4668, 4.3565, -0.2522], [-1.4668, 4.3565, -0.2522], [0.0000, 1.3202, 9.6138]],
  "species": ["Os", "Os", "Os", "Os", "Te", "Te"],
  "fractional_positions": [[0.2161, 0.2161, 0.5165], [0.4833, 0.4833, 0.6536], [0.0227, 0.0227, 0.8683], [0.7517, 0.7517, 0.7353], [0.7458, 0.7458, 0.0310], [0.9471, 0.9471, 0.3619]]
}

[5]
{
  "formula": "TeOs2",
  "functional": "PBE",
  "state": "optimized geometry",
  "spacegroup": "No. 194",
  "e_form_raw_kj_per_mol_atoms": 95.19,
  "magnetic_moment_mub_per_cell": 0.000,
  "cell": [[2.2447, -3.8879, 0.0000], [2.2447, 3.8879, 0.0000], [0.0000, 0.0000, 5.7086]],
  "species": ["Os", "Os", "Os", "Os", "Te", "Te"],
  "fractional_positions": [[0.0000, 0.0000, 0.5000], [0.3333, 0.6667, 0.2500], [0.6667, 0.3333, 0.7500], [0.0000, 0.0000, 0.0000], [0.6667, 0.3333, 0.2500], [0.3333, 0.6667, 0.7500]]
}

[6]
{
  "formula": "TeOs3",
  "functional": "PBE",
  "state": "optimized geometry",
  "spacegroup": "No. 65",
  "e_form_raw_kj_per_mol_atoms": 85.41,
  "magnetic_moment_mub_per_cell": 0.000,
  "cell": [[4.7872, 0.0181, 0.0000], [-1.3332, 4.5979, 0.0000], [0.0000, 0.0000, 2.9057]],
  "species": ["Os", "Os", "Os", "Te"],
  "fractional_positions": [[0.5000, 0.5000, 0.0000], [0.5000, 0.0000, 0.5000], [0.0000, 0.5000, 0.5000], [0.0000, 0.0000, 0.0000]]
}

[7]
{
  "formula": "TeOs",
  "functional": "PBE",
  "state": "optimized geometry",
  "spacegroup": "No. 136",
  "e_form_raw_kj_per_mol_atoms": 70.92,
  "magnetic_moment_mub_per_cell": 0.000,
  "cell": [[-5.4980, -5.3794, 1.5853], [3.2000, -1.1861, 7.0733], [-1.9224, 2.3365, 1.2615]],
  "species": ["Os", "Os", "Os", "Os", "Te", "Te", "Te", "Te"],
  "fractional_positions": [[0.8738, 0.1262, 0.5000], [0.6262, 0.6262, 0.0000], [0.1262, 0.8738, 0.5000], [0.3738, 0.3738, 0.0000], [0.8026, 0.8026, 0.5000], [0.1974, 0.1974, 0.5000], [0.6974, 0.3026, 0.0000], [0.3026, 0.6974, 0.0000]]
}

[8]
{
  "formula": "TeOs3",
  "functional": "PBE",
  "state": "optimized geometry",
  "spacegroup": "No. 187",
  "e_form_raw_kj_per_mol_atoms": 68.84,
  "magnetic_moment_mub_per_cell": 0.000,
  "cell": [[2.8917, 0.0000, 0.0000], [-1.4458, 2.5043, 0.0000], [0.0000, 0.0000, 9.1165]],
  "species": ["Os", "Os", "Os", "Te"],
  "fractional_positions": [[0.0000, 0.0000, 0.0255], [0.0000, 0.0000, 0.4745], [0.6667, 0.3333, 0.2500], [0.6667, 0.3333, 0.7500]]
}

[9]
{
  "formula": "TeOs",
  "functional": "PBE",
  "state": "optimized geometry",
  "spacegroup": "No. 8",
  "e_form_raw_kj_per_mol_atoms": 48.78,
- - -

### To do
Please start at the top of the block above and return each line, ending with the one that has "68.84,".

### Done
[1]
{
  "formula": "TeOs",
  "functional": "PBE",
  "state": "optimized geometry",
  "spacegroup": "No. 11",
  "e_form_raw_kj_per_mol_atoms": 40.77,
  "magnetic_moment_mub_per_cell": 0.000,
  "cell": [[3.6957, 0.0000, 0.0000], [0.0000, 2.8878, -0.0162], [0.0000, -0.0325, 8.7400]],
  "species": ["Te", "Te", "Os", "Os"],
  "fractional_positions": [[0.0000, 0.6169, 0.5797], [0.5000, 0.1331, 0.1703], [0.0000, 0.1270, 0.9438], [0.5000, 0.6230, 0.8062]]
}

[2]
{
  "formula": "TeOs",
  "functional": "PBE",
  "state": "optimized geometry",
  "spacegroup": "No. 166",
  "e_form_raw_kj_per_mol_atoms": 82.08,
  "magnetic_moment_mub_per_cell": 0.000,
  "cell": [[4.5008, -0.0101, -0.0064], [3.3415, 3.0153, -0.0064], [3.3415, 1.2805, 2.7299]],
  "species": ["Te", "Os"],
  "fractional_positions": [[0.5000, 0.5000, 0.5000], [0.0000, 0.0000, 0.0000]]
}

[3]
{
  "formula": "TeOs3",
  "functional": "PBE",
  "state": "optimized geometry",
  "spacegroup": "No. 221",
  "e_form_raw_kj_per_mol_atoms": 91.69,
  "magnetic_moment_mub_per_cell": 0.000,
  "cell": [[-3.8132, 0.0493, -1.1641], [-0.4238, -3.7695, 1.2286], [-1.0853, 1.2987, 3.6102]],
  "species": ["Os", "Os", "Os", "Te"],
  "fractional_positions": [[0.5000, 0.5000, 0.0000], [0.5000, 0.0000, 0.5000], [0.0000, 0.5000, 0.5000], [0.0000, 0.0000, 0.0000]]
}

[4]
{
  "formula": "TeOs2",
  "functional": "PBE",
  "state": "optimized geometry",
  "spacegroup": "No. 8",
  "e_form_raw_kj_per_mol_atoms": 42.75,
  "magnetic_moment_mub_per_cell": 0.000,
  "cell": [[1.4668, 4.3565, -0.2522], [-1.4668, 4.3565, -0.2522], [0.0000, 1.3202, 9.6138]],
  "species": ["Os", "Os", "Os", "Os", "Te", "Te"],
  "fractional_positions": [[0.2161, 0.2161, 0.5165], [0.4833, 0.4833, 0.6536], [0.0227, 0.0227, 0.8683], [0.7517, 0.7517, 0.7353], [0.7458, 0.7458, 0.0310], [0.9471, 0.9471, 0.3619]]
}

[5]
{
  "formula": "TeOs2",
  "functional": "PBE",
  "state": "optimized geometry",
  "spacegroup": "No. 194",
  "e_form_raw_kj_per_mol_atoms": 95.19,
  "magnetic_moment_mub_per_cell": 0.000,
  "cell": [[2.2447, -3.8879, 0.0000], [2.2447, 3.8879, 0.0000], [0.0000, 0.0000, 5.7086]],
  "species": ["Os", "Os", "Os", "Os", "Te", "Te"],
  "fractional_positions": [[0.0000, 0.0000, 0.5000], [0.3333, 0.6667, 0.2500], [0.6667, 0.3333, 0.7500], [0.0000, 0.0000, 0.0000], [0.6667, 0.3333, 0.2500], [0.3333, 0.6667, 0.7500]]
}

[6]
{
  "formula": "TeOs3",
  "functional": "PBE",
  "state": "optimized geometry",
  "spacegroup": "No. 65",
  "e_form_raw_kj_per_mol_atoms": 85.41,
  "magnetic_moment_mub_per_cell": 0.000,
  "cell": [[4.7872, 0.0181, 0.0000], [-1.3332, 4.5979, 0.0000], [0.0000, 0.0000, 2.9057]],
  "species": ["Os", "Os", "Os", "Te"],
  "fractional_positions": [[0.5000, 0.5000, 0.0000], [0.5000, 0.0000, 0.5000], [0.0000, 0.5000, 0.5000], [0.0000, 0.0000, 0.0000]]
}

[7]
{
  "formula": "TeOs",
  "functional": "PBE",
  "state": "optimized geometry",
  "spacegroup": "No. 136",
  "e_form_raw_kj_per_mol_atoms": 70.92,
  "magnetic_moment_mub_per_cell": 0.000,
  "cell": [[-5.4980, -5.3794, 1.5853], [3.2000, -1.1861, 7.0733], [-1.9224, 2.3365, 1.2615]],
  "species": ["Os", "Os", "Os", "Os", "Te", "Te", "Te", "Te"],
  "fractional_positions": [[0.8738, 0.1262, 0.5000], [0.6262, 0.6262, 0.0000], [0.1262, 0.8738, 0.5000], [0.3738, 0.3738, 0.0000], [0.8026, 0.8026, 0.5000], [0.1974, 0.1974, 0.5000], [0.6974, 0.3026, 0.0000], [0.3026, 0.6974, 0.0000]]
}

[8]
{
  "formula": "TeOs3",
  "functional": "PBE",
  "state": "optimized geometry",
  "spacegroup": "No. 187",
  "e_form_raw_kj_per_mol_atoms": 68.84,